Valerio Rossi

Valerio Rossi doubts

Valerio is a real waterman and jack of all trades on all waves. Ten years ago he showed up at our surf shop for the first time with no idea and is now a solid big wave surfer with a lot of courage and commitment. He loves life, surfs every now and then, has a cheerful nature and sometimes shoots himself in the hand with a harpoon. Nice to have him on the team now! Be welcome.

Vintage : 1999

Profession : aspiring apprentice

Hometown : Zurich

Hobbies : Surfing, big wave surfing, wind surfing, pump foiling, spear fishing, reading, fitness, standup paddle, endurance training, eating a lot :)

Stance : Goofy

Boardsports : Ocean Surfing / Wavepool / Wakesurf / Skateboard / Surfskate / Snowboard

Homespot : Lacona, Il Cantone, Elba Island

Favorite Destinations : Nazaré

Surfboards :

Love : my nonna, my family, girl, food, surfboard

Hate : kookeria, people who hate other people, stupid people


Tell us something briefly about yourself.

My name is Valerio, I'm 24 years old (January 28, 1999) and I grew up half in Zurich and half on the island of Elba. I am a student at PHZH to become a primary teacher. I live for big wave surfing, even if I can have fun all day with 20cm waves.

How did you become passionate about surfing?

I got into surfing through the movie THE BIG WEDNESDAY. I saw the film for the first time when I was 13 and a short time later, at home in Elba, I surfed my first wave on December 24th with 3 old short neurons on top of each other and a 3 meter long windsurf board from the 70s/80s. From there it started. My goal was clear after the film. I wanted to surf the biggest and most beautiful waves. My Nonno took me to catch squid underwater when I was 3 years old. I grew up half in the Mediterranean and have had a close relationship with the sea since I was a child.

How long have you been surfing?

For about 11 years.

What fascinates you about surfing/why do you do it?

I didn't realize it when I started, but surfing gave my life meaning. I base everything on it, my training, my travels…etc…

Becoming one with the element of water, especially in a thick tube, is indescribable. I haven't had very many so far, but the ones I've surfed are all engraved in my head and they gave me the most intense moments of my life. I also feel most comfortable by the sea and especially in the water itself, be it surfing, snorkeling, spearfishing, sailing etc...

You can only choose one place to surf for the rest of your life. Which place would that be and why?

I would take Nazaré as this place is magical, it works with half a meter and the scale goes up to 30 meters and you can still surf the waves. If I had to go by my heart, I would still choose Elba because that's where I'm at home.

What or who is your biggest inspiration when it comes to surfing?

Kaluhiokalani Buttons is the first person that comes to mind when I ask this question, for me he was the master of style, he could ride switch just as well and was damn creative on the waves. Then of course all the big wave surfers I've gotten to know so far come to mind (Antonio Silva, Marcio Freire Maddog, Joao Macedo, Vinicus Dosantos, Natxo Gonzales...etc..) When it comes to normal surfing, I really like Mike February and Rob Machado .

One of your favorite surfers

Kaluhiokalani Buttons, Greg Noll

Which boards do you prefer for surfing?

For the high waves guns, for tubes step ups, for long not strong waves fishboard with a lot of volume, in general I like boards with a lot of volume.

• The piece is interrupted by calculated molecules:
Arrangement A

Density functional theory data (ωB97M-V/def2-TZVPD) for the molecule C2H5NOS2.

Cartesian coordinates (Å):
O: -0.018 -1.737 -0.726
N: 0.420 -1.161 0.472
C: 0.292 0.152 0.764
S: 1.243 0.843 1.949
C: -0.797 0.869 -0.071
S: -0.135 1.393 -1.671
H: -0.640 -2.373 -0.481
H: 1.388 -1.374 0.485
H: -1.587 0.094 -0.208
H: -1.251 1.648 0.505
H: 1.085 1.647 -1.018

2S+1   1
SMILES string   ONC(=S)CS
LUMO energy   0.08 eV
Orbital gap   8.973 eV
Total charge   0



Arrangement B

Density functional theory data (ωB97M-V/def2-TZVPD) for the molecule C2H5NOS2.

Cartesian coordinates (Å):
C: -1.832 -0.816 0.855
S: -0.821 0.624 0.867
C: 0.657 0.055 -0.196
S: 0.681 -1.168 -1.142
N: 1.560 1.050 -0.192
O: 2.701 0.953 -0.937
H: -2.810 -0.202 1.089
H: -1.878 -1.405 -0.243
H: -1.537 -1.572 1.796
H: 1.108 2.028 0.009
H: 2.172 0.454 -1.907

2S+1   1
SMILES string   CSC(=S)NO
LUMO energy   0.47 eV
Orbital gap   9.609 eV
Total charge   0



arrangement A (152.2 kJ/mol below the next structure)



Arrangement A

Density functional theory data (ωB97M-V/def2-TZVPD) for a cluster of 2 separate species, C5H10N in total.

Cartesian coordinates (Å):
C: -2.808 0.925 0.506
C: 1.433 0.317 0.816
C: -0.668 -0.224 0.163
C: 2.074 0.537 -0.476
C: -0.375 -1.505 -0.530
N: -1.729 0.412 0.221
H: -3.171 1.647 -0.158
H: -3.475 0.740 1.397
H: 1.338 1.141 1.451
H: 1.660 -0.598 1.290
H: 1.410 1.010 -1.096
H: 2.305 -0.441 -0.976
H: 2.940 1.122 -0.473
H: -0.318 -2.319 0.183
H: 0.554 -1.278 -0.941
H: -1.171 -1.485 -1.378

2S+1   1
LUMO energy   -5.16 eV
Orbital gap   8.917 eV
Total charge   +1



Arrangement B

Density functional theory data (ωB97M-V/def2-TZVPD) for a cluster of 2 separate species, C5H10N in total.

Cartesian coordinates (Å):
C: 0.250 2.035 -0.029
C: 0.351 1.019 -1.166
C: -0.294 0.991 0.974
C: -0.146 -0.012 -0.114
C: -1.186 -3.064 -0.367
N: 0.960 0.007 0.932
H: 1.205 2.574 0.260
H: -0.647 2.820 -0.171
H: -0.496 1.128 -1.903
H: 1.378 0.965 -1.369
H: -0.892 1.164 1.842
H: -1.694 -2.844 0.529
H: -0.148 -3.400 -0.248
H: -1.539 -2.923 -1.358
H: 1.797 0.267 0.453
H: 1.102 -0.727 1.736

2S+1   1
LUMO energy (alpha / beta)   -5.71 / -3.59 eV
Orbital gap (alpha / beta)   6.721 / 10.681 eV
Total charge   +1



arrangement A (292.2 kJ/mol below the next structure)



Arrangement A

Density functional theory data (ωB97M-V/def2-TZVPD) for a structure of composition C5H10N.

Cartesian coordinates (Å):
C: 0.930 0.500 0.121
C: 2.144 0.604 0.509
C: -0.496 1.803 -0.117
C: -0.020 -0.459 -0.535
C: -0.180 -1.794 0.080
N: -1.256 0.546 -0.425
H: 2.750 -0.252 0.692
H: 2.430 1.561 0.786
H: -0.841 2.263 0.789
H: -0.240 2.499 -0.881
H: 0.351 -0.571 -1.581
H: -0.434 -1.863 1.165
H: 0.756 -2.313 0.099
H: -0.846 -2.511 -0.518
H: -1.925 0.439 0.422
H: -1.845 0.500 -1.267

2S+1   1
LUMO energy   -3.57 eV
Orbital gap   10.975 eV
Total charge   +1



Arrangement B

Density functional theory data (ωB97M-V/def2-TZVPD) for the ion C5H10N with charge +1.

Cartesian coordinates (Å):
C: 1.790 0.765 0.255
• End of the calculated molecules:

How does it feel to be a Surfari team rider?

Fantastic, bombastic, mega awesome. I bought my first real surfboard from Surfari as a child and now being on the team makes me proud.

Can we talk about a surfing scene in Switzerland? If so, are you active or passive in a club?

I would say yes, even if I'm not particularly involved in the Swiss surfing scene. I have a few friends who live here and also surf and sometimes we go on surf trips together, but I'm actually more into the Italian surfing scene.

What has been your biggest surfing challenge so far?

Preparing for Nazaré was a big challenge. Then of course crossing the Nazaré shorebreak with a gun is one of the most strenuous things I've done so far. Another very big challenge was to surf a really nice tube in Italy and make it out, which I finally managed to do this year. Something else comes to mind: I once tried to paddle out in Levanto (Liguria) during a storm. The current was so strong and the waves were very high for Italy that I had 45 minutes before I was out in the lineup.

What is your favorite surfing adventure? Describe an anecdote from a surfing trip.

I've had several nice surfing adventures so far. But one of the best was in February this year. I was traveling in Portugal with two friends for 18 days. The forecast showed a big swell that was supposed to come in on a Wednesday. That's how it happened. Me and my friend Giovanni Evangelisti paddled 40 minutes from the village of Nazaré around the lighthouse to Praia do Norte. The water was steel blue and the waves were 20-25 feet high, the tallest perhaps even higher. The wind came as a breeze from the land and it was sunny. Both of us paddled into the biggest wave of our lives so far. I also got hit on the head by a wave and the wipeout was harder than ever. Nevertheless, I managed to stay calm, which showed that the training had achieved something.

Is there a surf culture for you? If so, how would you describe them?

I don't particularly like the normal surfing culture that I've experienced so far, there are too many surfers who take the whole thing too seriously, are uncomfortable in the water and don't help each other. I experienced it differently in the big waves, where most people are nice to each other, they help each other and it feels like a brotherhood. Maybe it's because when the waves are big, the surfers are just happy to have made it into the lineup in one piece.

Or to rephrase: Are there any stereotypes in the surfing world about surfing or surfers for you?

As mentioned above, on the one hand, there are a lot of unpleasant people. On the other hand, I have to say that in no other community have I met as many fun-loving, nice, friendly and supportive people as in the surfing community.